The Encyclopedia of Fantastic Victoriana

by Jess Nevins

Misplaced calculated crystals:
- - -
No. 1
The following is a r²SCAN calculation of an optimized crystal structure of PrAl3Ag, from the Materials Project.

The structure in CIF format:
```
data_PrAl3Ag
_chemical_formula_sum 'Pr2 Al6 Ag2'
_cell_length_a 4.305
_cell_length_b 4.305
_cell_length_c 11.094
_cell_angle_alpha 90.00
_cell_angle_beta 90.00
_cell_angle_gamma 90.00
_space_group_name_H-M_alt 'I 4 m m'
_space_group_IT_number 107
_space_group_name_Hall 'I 4 -2'
loop_
_atom_site_label
_atom_site_fract_x
_atom_site_fract_y
_atom_site_fract_z
Pr1 0.000 0.000 0.000
Al1 0.000 0.000 0.594
Al2 0.000 0.500 0.239
Ag1 0.000 0.000 0.367
```

Summary:
DFT formation energy (eV per atom): -0.457
Total moment (μB per formula unit): 0.0

No. 2
The following is a r²SCAN calculation of an optimized crystal structure of NdTlZn, from the Materials Project.

The structure in CIF format:
```
data_NdTlZn
_chemical_formula_sum 'Nd2 Tl2 Zn2'
_cell_length_a 4.7102
_cell_length_b 4.7102
_cell_length_c 7.7094
_cell_angle_alpha 90.00
_cell_angle_beta 90.00
_cell_angle_gamma 120.00
_space_group_name_H-M_alt 'P 63/m m c'
_space_group_IT_number 194
_space_group_name_Hall '-P 6c 2c'
loop_
_atom_site_label
_atom_site_fract_x
_atom_site_fract_y
_atom_site_fract_z
Nd1 0.0000 0.0000 0.0000
Tl1 0.3333 0.6667 0.2500
Zn1 0.3333 0.6667 0.7500
```

Summary:
DFT formation energy (eV per atom): -0.438
Total moment (μB per formula unit): 0.1

No. 3
The following is a r²SCAN calculation of an optimized crystal structure of EuCO3, from the Materials Project.

The structure in CIF format:
```
data_EuCO3
_chemical_formula_sum 'Eu4 C4 O12'
_cell_length_a 5.944
_cell_length_b 5.110
_cell_length_c 8.415
_cell_angle_alpha 90.00
_cell_angle_beta 90.00
_cell_angle_gamma 90.00
_space_group_name_H-M_alt 'P n m a'
_space_group_IT_number 62
loop_
_space_group_symop_operation_xyz
'x,y,z'
'-x,-y,-z'
'-x+1/2,-y,z+1/2'
'x+1/2,y,-z+1/2'
'x+1/2,-y+1/2,-z+1/2'
'-x+1/2,y+1/2,z+1/2'
'-x,y+1/2,-z'
'x,-y+1/2,z'
loop_
_atom_site_label
_atom_site_fract_x
_atom_site_fract_y
_atom_site_fract_z
Eu1 0.244 0.250 0.084
C1 0.086 0.250 0.741
O1 0.087 0.031 0.818
O2 0.097 0.250 0.588
```

Summary:
DFT formation energy (eV per atom): -2.386
Total moment (μB per formula unit): 7.0

No. 4
The following is a r²SCAN calculation of an optimized crystal structure of AcVO3, from the Materials Project.

The structure in CIF format:
```
data_AcVO3
_chemical_formula_sum 'Ac1 V1 O3'
_cell_length_a 3.968
_cell_length_b 3.968
_cell_length_c 3.968
_cell_angle_alpha 90.00
_cell_angle_beta 90.00
_cell_angle_gamma 90.00
_space_group_name_H-M_alt 'P m -3 m'
_space_group_IT_number 221
_space_group_name_Hall '-P 4 2 3'
loop_
_atom_site_label
_atom_site_fract_x
_atom_site_fract_y
_atom_site_fract_z
Ac1 0.000 0.000 0.000
V1 0.500 0.500 0.500
O1 0.000 0.500 0.500
```

Summary:
DFT formation energy (eV per atom): -3.271
Total moment (μB per formula unit): 2.0

No. 5
The following is a r²SCAN calculation of an optimized crystal structure of DyGe2Pd2, from the Materials Project.
- - -
Back to the article:

The Traitor's Way (1901)

copyright © Jess Nevins 2022

The Traitor’s Way was written by S. Levett-Yeats. Sidney Kilner Levett-Yeats (circa 1858-1916) was a writer of historical fiction. The Traitor’s Way is a good idea gone woefully wrong in the hands of a talented writer.

The Traitor’s Way is the story of one man’s inability to resist the darker angels of his nature. Gaspard de Vibrac is the last son of a noble French house during the 1560s. He is also a Huguenot, and this places him, as a wealthy nobleman, in the conspiracy of Amboise, the Huguenot plot to usurp the power of the ruling Guise family. When the conspiracy is uncovered, Vibrac attempts to flee Paris with the woman he loves, Marie de Marcilly. Marie is the wife of Vibrac’s best friend, the noble soldier Jean de Marcilly, and Vibrac is desperately in love with her. Marie does not reciprocate Vibrac’s feelings, but neither does she issue firm denials to his avowals of love. She feels that her husband does not love her and is miserable, and she has spent time with Vibrac, although the extent of their involvement is unclear. But just before she is to meet Vibrac and leave Paris she overhears Vibrac and her husband discussing her, and her husband reveals to Vibrac that he truly loves her. This strengthens her, and she turns Vibrac down.

____________
# 1
KMg6CoO8 PBE with a Hubbard U relaxed; mass density = 3.65 g/cm3; total moment = 4.000 μB/cell; energy of formation from the pure elements = -2.346 eV/atom; SG = P4/mmm
1.0
-4.7111 4.7356 5.8338
-3.4153 -0.0406 -2.7251
-1.4285 -3.6942 1.8452
K Mg Co O
1 6 1 8
direct
0.0000 0.5000 0.5000 K
0.5000 0.0000 0.0000 Mg
0.5000 0.5000 0.5000 Mg
0.2595 0.0000 0.5000 Mg
0.7405 0.0000 0.5000 Mg
0.2595 0.5000 0.0000 Mg
0.7405 0.5000 0.0000 Mg
0.0000 0.0000 0.0000 Co
0.2476 0.0000 0.0000 O
0.7524 0.0000 0.0000 O
0.2750 0.5000 0.5000 O
0.7250 0.5000 0.5000 O
0.0000 0.0000 0.5000 O
0.5000 0.0000 0.5000 O
0.0000 0.5000 0.0000 O
0.5000 0.5000 0.0000 O

***

# 2
Sr3LaV3O12 PBE with a Hubbard U relaxed; mass density = 4.40 g/cm3; total moment = 0.001 μB/cell; energy of formation from the pure elements = -3.044 eV/atom; SG = Cm
1.0
2.1981 -10.6120 2.0692
6.7825 -7.7925 3.8733
-3.4574 0.0531 8.7024
Sr La V O
6 2 6 24
direct
0.0039 0.0039 0.0074 Sr
0.3318 0.3318 0.6621 Sr
0.6653 0.6653 0.3255 Sr
0.7996 0.7996 0.0048 Sr
0.1342 0.1342 0.6684 Sr
0.1990 0.1990 0.0017 Sr
0.5217 0.5217 0.6356 La
0.8791 0.8791 0.3365 La
0.9354 0.9354 0.6666 V
0.2702 0.2702 0.3255 V
0.6027 0.6027 0.9882 V
0.0622 0.0622 0.3489 V
0.3970 0.3970 0.0086 V
0.7313 0.7313 0.6692 V
0.5471 0.5471 0.1303 O
0.8777 0.8777 0.8051 O
0.2136 0.2136 0.4690 O
0.4545 0.4545 0.8597 O
0.7920 0.7920 0.5265 O
0.1188 0.1188 0.2057 O
0.3173 0.8313 0.4587 O
0.6602 0.1413 0.1084 O
0.9873 0.4899 0.7752 O
0.8313 0.3173 0.4587 O
0.1413 0.6602 0.1084 O
0.4899 0.9873 0.7752 O
0.9885 0.9885 0.2844 O
0.3232 0.3232 0.9446 O
0.6563 0.6563 0.6112 O
0.6793 0.1790 0.5597 O
0.0107 0.5117 0.2205 O
0.3403 0.8485 0.8849 O
0.1790 0.6793 0.5597 O
0.5117 0.0107 0.2205 O
0.8485 0.3403 0.8849 O
0.0105 0.0105 0.7234 O
0.3441 0.3441 0.3885 O
0.6781 0.6781 0.0515 O

***

# 3
Li2NbNi3O8 PBE with a Hubbard U relaxed; mass density = 4.74 g/cm3; total moment = 6.009 μB/cell; energy of formation from the pure elements = -1.776 eV/atom; SG = P6_3mc
1.0
2.9381 -5.0889 0.0000
2.9381 5.0889 0.0000
0.0000 0.0000 9.6364
Li Nb Ni O
4 2 6 16
direct
0.3333 0.6667 0.8939 Li
0.0000 0.0000 0.9924 Li
0.0000 0.0000 0.4924 Li
0.6667 0.3333 0.3939 Li
0.3333 0.6667 0.4961 Nb
0.6667 0.3333 0.9961 Nb
0.1685 0.8315 0.2154 Ni
0.1685 0.3370 0.2154 Ni
0.6630 0.8315 0.2154 Ni
0.3370 0.1685 0.7154 Ni
0.8315 0.6630 0.7154 Ni
0.8315 0.1685 0.7154 Ni
0.1639 0.8361 0.5926 O
0.0341 0.5171 0.3424 O
0.3333 0.6667 0.1182 O
0.0000 0.0000 0.3025 O
0.0000 0.0000 0.8025 O
0.1639 0.3278 0.5926 O
0.4829 0.9659 0.3424 O
0.4829 0.5171 0.3424 O
0.3278 0.1639 0.0926 O
0.6722 0.8361 0.5926 O
0.5171 0.4829 0.8424 O
0.5171 0.0341 0.8424 O
0.6667 0.3333 0.6182 O
0.8361 0.6722 0.0926 O
0.9659 0.4829 0.8424 O
0.8361 0.1639 0.0926 O

***

# 4
CsMnCuF6 PBE with a Hubbard U relaxed; mass density = 4.11 g/cm3; total moment = 9.615 μB/cell; energy of formation from the pure elements = -2.558 eV/atom; SG = Imma
1.0
0.9714 3.3429 6.6131
0.1162 6.6384 -3.4307
-5.7528 -4.7279 -0.6352
Cs Mn Cu F
____________

This makes Vibrac wretched; his despair is deepened when he discovers that the letter he bore, which contained the names of a hundred other Amboise conspirators, has been taken from him by an agent of the Queen Mother and “the tyrants of Guise.” Vibrac decides to leave Paris and help the conspiracy, but things go against him and his comrades. Vibrac is with Jean de Marcilly at Châtillon, guarding the Princess of Condé, when they receive the news of the imprisonment of the leader of the conspiracy, the Prince of Condé. Vibrac and Marcilly leave to rescue the Prince, but things grow complicated, and the pair become entangled in more plots than just their own. Worse, Vibrac encounters Marie again, and in displeasing circumstances to them both. In conversation with a notorious gossip Marie dismisses her affair with Vibrac (which is widely known by this time, although Marie’s husband is still unaware of it) as a mere diversion. Vibrac overhears this, is wounded by her words, and speaks insultingly to Marie. Marie, hurt by his attack, confirms what she said, although Vibrac, discussing this in retrospect, acknowledges that he was at fault for taking her initial statement seriously. Marie’s response pushes Vibrac all the way to evil, and he betrays the leaders of the Amboise conspiracy to the Duc de Guise and Cardinal Richelieu. But before the Condés and Marcilly and the others can be tortured and executed, the King, Francis II, dies, depriving de Guise of power. Vibrac flees Orleans, where the events of The Traitor’s Way takes place, and returns to his home so that he does not have to face those he betrayed. Forty years later “The Shame of Vibrac” has entered common parlance as a catchphrase for betrayal, and Vibrac, still alive, waits for death, “the pity of God.”1 

Levett-Yeats is a member of the Weyman School (see: The Historical Romance) and has many of the same stylistic qualities of his contemporaries: a quick, smooth narrative style; snappy dialogue; accurate history used as background and setting rather than as the engine of the plot; emotion conveyed through understatement or in a direct and simple way; fluid descriptions; a focus on the doings of nobility rather than the working class; a certain romanticization of the novel’s period and setting; and an abundance of high adventure, from duels to midnight escapes. But Levett-Yeats, in The Traitor’s Way, displays some flaws which the work of Weyman and Levett-Yeats’ contemporaries do not, and these result in a flawed and ultimately unsatisfactory work.

Levett-Yeats begins the novel in media res and makes abrupt, jarring transitions from scene to scene and in some cases from month to month or even year to year. Levett-Yeats also makes too frequent use of the forward allusion. The story is told in retrospect, from the point of view of Vibrac, forty years after the events took place, and at a number of points Vibrac says something like, “Little did I know what fate awaited me” or “Had I but known the dire end which awaited Achon.” Too much of this sort of thing, which The Traitor’s Way has, is annoying. Worse than that is the lack of historical context for the events and figures of the novel. In part this is due to the diminished education of the modern reader. Levett-Yeats wrote The Traitor’s Way with the assumption that his English readers would be familiar enough with the particulars of sixteenth century French history that he would not have to explain who the Duc de Guise was or what the conspiracy of Amboise was about. Levett-Yeats’ contemporary readers probably did not need that contextualization. Modern readers will, and will not find it in The Traitor’s Way. Even when Levett-Yeats does attempt to provide some explanation of events and introduction of historical characters, he fails.

The most critical flaw of the novel is Gaspard de Vibrac himself. The stylistic flaws of The Traitor’s Way could be forgiven if the protagonist was sufficiently likable, but de Vibrac is a weak man who succumbs to a wretched form of villainy. De Vibrac is not an enjoyable character with whom to spend a few hundred pages. Vibrac is undoubtedly brave, and a good swordsman, and as an older man he acknowledges all he did wrong, but the younger Vibrac, whose thoughts and feelings we read about, is a weakling. He repeatedly gives in to temptation and then feels miserable and wretched for having done so. He is neither a good man nor a remarkably bad one; he is too weak to resist his darker impulses and lacks the strength to be really evil. He is only strong enough to hate himself for being weak. A few hundred pages of guilty recriminations overwhelms whatever pleasure can be had from the occasional moment of fun in the novel, whether it is a duel or a punchy one-liner.

Levett-Yeats was too talented to have produced The Traitor’s Way.

Recommended Edition

Print: Sidney Kilner Levett Yeats, The Traitor’s Way. London: Methuen & Co., 1906.

_Inserted here: materials data_
No. 1
Computed, not measured: a geometry-optimized EuMoO3 structure at the PBE with a Hubbard U level of DFT.

a = 4.1002 Å, b = 4.1002 Å, c = 4.1002 Å
α = 90.00°, β = 90.00°, γ = 90.00°
Fractional coordinates of all 5 atoms:
Eu 0.0000 0.0000 0.0000
Mo 0.5000 0.5000 0.5000
O 0.5000 0.5000 0.0000
O 0.5000 0.0000 0.5000
O 0.0000 0.5000 0.5000

Output
- SG: Pm-3m (221)
- Crystal system: cubic
- M_tot: 9.0 μB per cell
- Calculated formation energy: -2.49 eV/atom
- E_tot: -8.63 eV per atom

***

No. 2
Computed, not measured: a geometry-optimized Mn3VCr2P6O24 structure at the PBE with a Hubbard U level of DFT.

a = 8.4839 Å, b = 8.4839 Å, c = 8.4839 Å
α = 61.58°, β = 61.58°, γ = 61.58°
Fractional coordinates of all 36 atoms:
Mn 0.3551 0.3551 0.3551
Mn 0.1455 0.1455 0.1455
Mn 0.6451 0.6451 0.6451
V 0.8549 0.8549 0.8549
Cr 0.0000 0.0000 0.0000
Cr 0.5011 0.5011 0.5011
P 0.7493 0.0474 0.4533
P 0.0474 0.4533 0.7493
P 0.4533 0.7493 0.0474
P 0.5478 0.2501 0.9504
P 0.9504 0.5478 0.2501
P 0.2501 0.9504 0.5478
O 0.8982 0.4887 0.6769
O 0.4887 0.6769 0.8982
O 0.6769 0.8982 0.4887
O 0.9052 0.0640 0.2511
O 0.8290 0.9916 0.6105
O 0.5986 0.2474 0.4486
O 0.0640 0.2511 0.9052
O 0.2474 0.4486 0.5986
O 0.3959 0.1776 0.9917
O 0.4486 0.5986 0.2474
O 0.7534 0.0902 0.9294
O 0.9917 0.3959 0.1776
O 0.9916 0.6105 0.8290
O 0.2511 0.9052 0.0640
O 0.5663 0.4011 0.7472
O 0.6105 0.8290 0.9916
O 0.7472 0.5663 0.4011
O 0.9294 0.7534 0.0902
O 0.4011 0.7472 0.5663
O 0.1776 0.9917 0.3959
O 0.0902 0.9294 0.7534
O 0.3161 0.1017 0.5196
O 0.5196 0.3161 0.1017
O 0.1017 0.5196 0.3161

Output
- SG: R3 (146)
- Crystal system: trigonal
- M_tot: 20.0 μB per cell
- Calculated formation energy: -2.47 eV/atom
- E_tot: -7.46 eV per atom

***

No. 3
Computed, not measured: a geometry-optimized CoH21C2N6Cl2O5 structure at the PBE with a Hubbard U level of DFT.

a = 9.0198 Å, b = 10.3092 Å, c = 14.3775 Å
α = 90.00°, β = 90.00°, γ = 90.00°
Fractional coordinates of all 148 atoms:
Co 0.7514 0.4867 0.3817
Co 0.7486 0.5133 0.8817
Co 0.2514 0.0133 0.6183
Co 0.2486 0.9867 0.1183
H 0.4550 0.1055 0.5124
H 0.1715 0.7818 0.0342
H 0.9809 0.0745 0.6366
H 0.8951 0.3239 0.9488
H 0.0929 0.1894 0.0984
H 0.9079 0.3373 0.8069
H 0.2602 0.1325 0.2597
H 0.7602 0.3675 0.7403
H 0.3285 0.2182 0.5342
H 0.0327 0.1072 0.1905
H 0.2398 0.8675 0.7597
H 0.9037 0.4669 0.7388
H 0.5963 0.5331 0.2388
H 0.9847 0.0596 0.0848
H 0.2615 0.5077 0.4311
H 0.5513 0.3553 0.4571
H 0.0191 0.5745 0.8634
H 0.4079 0.1627 0.1931
H 0.5191 0.9255 0.1366
H 0.4123 0.7900 0.1458
H 0.6049 0.6761 0.4488
H 0.2600 0.5355 0.7607
H 0.5884 0.6928 0.8125
H 0.5936 0.5499 0.5202
H 0.4037 0.0331 0.2612
H 0.1742 0.3776 0.8672
H 0.7600 0.9645 0.2394
H 0.2919 0.1053 0.4571
H 0.0513 0.1447 0.5429
H 0.2400 0.4645 0.2606
H 0.5327 0.3928 0.8095
H 0.2385 0.4923 0.9311
H 0.0921 0.8373 0.6931
H 0.4071 0.8106 0.5984
H 0.9064 0.4501 0.0202
H 0.7385 0.0077 0.0689
H 0.4064 0.0499 0.9798
H 0.1042 0.9291 0.2631
H 0.4487 0.8553 0.0429
H 0.7423 0.6745 0.7491
H 0.7460 0.6395 0.5196
_So much for the materials data_



1 S. Levett-Yeats, The Traitor’s Way (New York: F.A. Stokes & Co., 1901), 2.